We Have a New Look
Our new visual identity is built on the core idea and values of our company. With a new logo, color scheme, fonts and images, the brand message of Vahterus is clear and confident.
Hanna Kontu, Head of Identity Remake Concept, Board Member at Vahterus
_These crystal structures were left in the entry by mistake_
<<<
For Ti2Be9Tc, a GGA-PBE-relaxed structure gives the simulated XRD peak list in this record (Cu Ka).
Lines closer than 0.1° are merged.

Atomic structure:
```
Ti2Be9Tc
1.0
4.401 0.000 0.000
-2.200 3.811 0.000
0.000 0.000 13.958
Ti Be Tc
4 18 2
direct
0.333 0.667 0.038
0.333 0.667 0.462
0.667 0.333 0.538
0.667 0.333 0.962
0.000 0.000 0.000
0.000 0.000 0.250
0.000 0.000 0.500
0.000 0.000 0.750
0.168 0.335 0.630
0.168 0.335 0.870
0.168 0.832 0.630
0.168 0.832 0.870
0.333 0.667 0.750
0.335 0.168 0.130
0.335 0.168 0.370
0.665 0.832 0.630
0.665 0.832 0.870
0.667 0.333 0.250
0.832 0.168 0.130
0.832 0.168 0.370
0.832 0.665 0.130
0.832 0.665 0.370
0.333 0.667 0.250
0.667 0.333 0.750
```

Main lines, by intensity (2θ = 10–80°):
| 2θ/deg | intensity | h k l |
| --- | --- | --- |
| 24.2 | 100.0 | 1 0 1 |
| 40.0 | 84.1 | 1 0 5 |
| 41.0 | 56.7 | 1 1 0 |
| 48.9 | 55.5 | 1 1 4 |
| 23.3 | 42.6 | 1 0 0 |
| 25.5 | 31.5 | 0 0 4 |
| 48.2 | 26.7 | 2 0 1 |
| 34.9 | 24.6 | 1 0 4 |

---

For BeTl3Tc, a GGA-PBE-relaxed structure gives the simulated XRD peak list in this record (Cu Ka).
Lines closer than 0.1° are merged.

Atomic structure:
```
BeTl3Tc
1.0
4.941 0.000 0.000
0.000 4.941 0.000
0.000 0.000 4.941
Be Tl Tc
1 3 1
direct
0.000 0.000 0.000
0.000 0.000 0.500
0.000 0.500 0.000
0.500 0.000 0.000
0.500 0.500 0.500
```

Main lines, by intensity (2θ = 10–80°):
| 2θ/deg | intensity | h k l |
| --- | --- | --- |
| 31.4 | 100.0 | 1 1 1 |
| 36.4 | 52.5 | 2 0 0 |
| 62.3 | 43.1 | 3 1 1 |
| 52.4 | 37.4 | 2 2 0 |
| 65.4 | 12.8 | 2 2 2 |
| 18.0 | 6.4 | 1 0 0 |
| 77.2 | 6.0 | 4 0 0 |
| 25.5 | 4.2 | 1 1 0 |

~~~~~

# 1
The following is a theoretical X-ray diffraction stick pattern of MgSi2. It was derived from a cell relaxed with PBE, using Cu Kα (λ = 1.5418 Å).
Lines closer than 0.1° are merged.

Principal peaks in the range 5 to 70 degrees two-theta, in order of rising 2θ:
| hkl | Position (°2θ) | I/Imax |
| --- | --- | --- |
| 1 -1 0 | 30.35 | 97.0 |
| 1 0 3 | 32.43 | 77.8 |
| 0 2 -1 | 34.96 | 92.3 |
| 0 1 -4 | 35.70 | 87.4 |
| 1 2 1 | 40.60 | 100.0 |
| 1 -2 0 | 43.11 | 92.9 |
| -1 1 4 | 43.69 | 96.8 |
| 2 0 0 | 49.53 | 64.8 |

Atomic structure:
```
MgSi2
1.0
3.695 0.000 0.000
0.349 5.340 0.000
0.680 0.701 11.779
Mg Si
4 8
Direct
0.000 0.000 0.000
0.101 0.531 0.823
0.453 0.190 0.214
0.580 0.827 0.587
0.010 0.479 0.059
0.049 0.092 0.724
0.139 0.417 0.580
0.479 0.693 0.136
0.487 0.690 0.340
0.546 0.926 0.826
0.673 0.325 0.462
0.945 0.959 0.370
```

***

# 2
The following is a theoretical X-ray diffraction stick pattern of ZnH12C2N6Cl4. It was derived from a cell relaxed with PBE, using Cu Kα (λ = 1.5418 Å).
Lines closer than 0.1° are merged.

Principal peaks in the range 5 to 70 degrees two-theta, in order of rising 2θ:
| hkl | Position (°2θ) | I/Imax |
| --- | --- | --- |
| 1 0 0 | 12.58 | 59.3 |
| 0 0 2 | 13.97 | 43.8 |
| 0 1 -1 | 14.97 | 52.2 |
| 1 0 -2 | 19.19 | 34.5 |
| 1 1 2 | 19.59 | 56.7 |
| -1 1 1 | 20.41 | 44.3 |
| 0 2 0 | 24.92 | 63.5 |
| 1 0 4 | 30.49 | 100.0 |
>>>
Vahterus’s visual identity has been built up over the last 27 years. During that time, our company has grown significantly. We’ve invented new technologies and suppliedpremium heat exchanger solutions to customers all over the world. This spring, we decided it was time our visual identity reflected the creativity and confidence achieved by our products and business.
The magazine you’re reading is one example of our new visual identity in action. The colours, typography and new brand imagery all follow our updated guidelines.
# Between two parts of the entry: crystal structures
'''
[1]
For CsMg14Cr, a DFT-relaxed cell (GGA-PBE, the Materials Project) gives the simulated X-ray diffraction stick pattern in this record (copper Kα).
Neutral-atom scattering factors, no anomalous dispersion.

Top 10 peaks for 2θ from 10° to 90°, in order of rising 2θ:
- hkl 1 0 0, 15.7°, 5.645 Å, I 29
- hkl 1 0 2, 22.8°, 3.896 Å, I 27
- hkl 2 0 0, 31.7°, 2.822 Å, I 28
- hkl 0 0 4, 33.3°, 2.692 Å, I 25
- hkl 2 0 2, 35.9°, 2.500 Å, I 100
- hkl 2 0 4, 46.6°, 1.948 Å, I 18
- hkl 2 2 0, 56.5°, 1.630 Å, I 17
- hkl 2 0 6, 61.2°, 1.515 Å, I 18
- hkl 2 2 4, 67.1°, 1.394 Å, I 18
- hkl 4 0 2, 68.8°, 1.365 Å, I 14

Atomic structure:
Cell lengths 6.5183, 6.5183, 10.7697 Å; angles 90.00, 90.00, 120.00 degrees
Space group P-6m2 (No. 187)
Symmetry-distinct sites (fractional):
Cs  0.0000  0.0000  0.0000 [1 per cell]
Mg  0.0057  0.5029  0.0000 [3 per cell]
Mg  0.1698  0.3395  0.2729 [6 per cell]
Mg  0.5024  0.0048  0.5000 [3 per cell]
Mg  0.6667  0.3333  0.2439 [2 per cell]
Cr  0.0000  0.0000  0.5000 [1 per cell]

[2]
For Mg6AlC, a DFT-relaxed cell (GGA-PBE, the Materials Project) gives the simulated X-ray diffraction stick pattern in this record (copper Kα).
Neutral-atom scattering factors, no anomalous dispersion.

Top 10 peaks for 2θ from 10° to 90°, in order of rising 2θ:
- hkl 1 1 1, 28.8°, 3.097 Å, I 13
- hkl 0 3 1, 32.2°, 2.778 Å, I 20
- hkl 0 0 4, 35.7°, 2.512 Å, I 31
- hkl 1 2 2, 37.5°, 2.398 Å, I 100
- hkl 1 1 3, 38.6°, 2.334 Å, I 25
- hkl 0 4 0, 41.7°, 2.168 Å, I 10
- hkl 0 4 2, 45.6°, 1.991 Å, I 11
- hkl 2 0 0, 52.1°, 1.756 Å, I 14
- hkl 2 0 4, 64.8°, 1.439 Å, I 10
- hkl 1 2 6, 65.4°, 1.427 Å, I 13

Atomic structure:
Cell lengths 3.5120, 8.6736, 10.0482 Å; angles 90.00, 90.00, 90.00 degrees
Space group Amm2 (No. 38)
Symmetry-distinct sites (fractional):
Mg  0.0000  0.0000  0.0000 [2 per cell]
Mg  0.0000  0.0000  0.4528 [2 per cell]
Mg  0.0000  0.1676  0.7053 [4 per cell]
Mg  0.5000  0.2430  0.4639 [4 per cell]
Al  0.5000  0.0000  0.2206 [2 per cell]
C  0.5000  0.0000  0.5945 [2 per cell]

[3]
For BaAs3, a DFT-relaxed cell (GGA-PBE, the Materials Project) gives the simulated X-ray diffraction stick pattern in this record (copper Kα).
Neutral-atom scattering factors, no anomalous dispersion.

Top 10 peaks for 2θ from 10° to 90°, in order of rising 2θ:
- hkl 1 1 1, 24.2°, 3.684 Å, I 29
- hkl 0 2 1, 27.6°, 3.232 Å, I 12
- hkl 2 2 -1, 29.7°, 3.006 Å, I 100
- hkl 3 1 0, 30.5°, 2.931 Å, I 40
- hkl 0 0 2, 31.8°, 2.814 Å, I 19
- hkl 2 2 1, 37.1°, 2.424 Å, I 13
- hkl 1 3 1, 40.6°, 2.225 Å, I 14
- hkl 0 4 0, 46.0°, 1.974 Å, I 16
- hkl 4 2 1, 52.9°, 1.731 Å, I 12
- hkl 4 2 -3, 54.1°, 1.695 Å, I 18

Atomic structure:
Cell lengths 10.3199, 7.8943, 6.1335 Å; angles 90.00, 113.43, 90.00 degrees
Space group C2/m (No. 12)
Symmetry-distinct sites (fractional):
Ba  0.1650  0.0000  0.3363 [4 per cell]
As  0.0043  0.5000  0.7959 [4 per cell]
As  0.1389  0.2347  0.8167 [8 per cell]

[4]
'''
# The entry goes on
Visual identity can easily be dismissed as just a ‘look’. However, a meaningful and consistent visual identity is an essential tool in creating and maintaining a brand. It’s a means of direct communication, though often non-verbal.
It’s no coincidence that almost everyone in the Western world knows that the colour of Coca-Cola’s branding is red and could draw a sketch of the Nike logo. Without even thinking about it, we associate an established company with its chosen visual language. The clearer the message, the stronger the effect.
While our day-to-day work and the quality of our products communicate the core idea of Vahterus in a very concrete way, the purpose of our visual identity is to support and strengthen that message.
What is it that we want to communicate?
The starting point for the visual identity remake was recalling and focusing on all those qualities on which Vahterus is built. Qualities such as our Finnish roots, simple and meaningful design, caring for the environment, reliability, trustworthiness, innovation and customer focus have always been fundamental to the way we think and act as a company, and the products we create together.
To communicate these qualities, we’ve updated our logo with a design that’s strong, clean and dynamic. Our new fonts emphasise the straightforward solidity of our products, and our colour palette has been simplified and made bolder to communicate our core values. Finally, we’ve built a distinct brand imagery to showcase our product, people and business. Our new look can be found across all our touchpoints from website to exhibition booth and workwear to business cards.
We made it together
There are a number of people without whom the project wouldn’t have taken shape. In particular, I’d like to thank art director Hennamari Asunta and photographer Anton Sucksdorff for their enthusiasm and dedication to the project. I owe special thanks to writer Sara Karlsson for refining our brand voice, and designer Linda Bergroth forcreating the unique concept for Achema 2018 exhibition, where we launched our new look.
I warmly thank Vahterus’s in-house team Sari Kesälä and Katri Isotahdon for a rewarding collaboration, and all the staff for their openness and help in making this change happen. I hope you enjoy it!